## To do
Your job: quote the lines further below up to the one that holds "3.086 0.000", that line included.
## Input
PrAs2Au: computed PXRD pattern (CuKα), based on a DFT-relaxed cell (PBE, the Materials Project).
Neutral-atom scattering factors, no anomalous dispersion.

Atomic structure:
abc: 5.902 20.839 5.848
angles: 90.00 90.00 90.00
Space group Pbcm (No. 57)
Asymmetric unit:
Pr: 0.014 0.116 0.250 [4 per cell]
Pr: 0.484 0.620 0.750 [4 per cell]
As: 0.015 0.159 0.750 [4 per cell]
As: 0.277 0.001 0.529 [8 per cell]
As: 0.486 0.660 0.250 [4 per cell]
Au: 0.231 0.750 0.000 [4 per cell]
Au: 0.266 0.250 0.000 [4 per cell]

Principal peaks in the range 10° ≤ 2θ ≤ 90°, most intense first:
| d (Å) | I (rel.) | (hkl) |
| --- | --- | --- |
| 2.550 | 1000 | 0 4 2 |
| 2.568 | 987 | 2 4 0 |
| 2.077 | 594 | 2 0 2 |
| 2.605 | 392 | 0 8 0 |
| 1.624 | 348 | 2 8 2 |
| 1.270 | 213 | 2 4 4 |
| 1.277 | 184 | 4 4 2 |
| 2.665 | 145 | 1 6 1 |
| 3.859 | 138 | 1 2 1 |
| 3.248 | 124 | 1 4 1 |


Structure and calculated XRD peak list of Sr2YVCu2O7 (a crystal structure in the Materials Project, relaxed with PBE+U; Cu Kα, 1.54184 Å).
Neutral-atom scattering factors, no anomalous dispersion.

Principal peaks in the range 2θ from 10° to 90°, in order of falling intensity:
31.7 deg, I 100; 37.6 deg, I 74; 45.7 deg, I 45; 32.1 deg, I 41; 31.6 deg, I 37; 56.9 deg, I 19; 56.4 deg, I 18; 60.3 deg, I 16; 60.8 deg, I 15; 72.9 deg, I 12

Structure:
```
26
Lattice="-11.996 2.829 2.792 11.996 -2.829 2.792 11.996 2.829 -2.792" Properties=species:S:1:pos:R:3 pbc="T T T"
Sr 3.451 0.114 0.000
Sr 8.546 0.114 0.000
Sr 3.451 2.715 2.792
Sr 8.546 2.715 2.792
Y 0.000 2.829 2.768
Y 0.000 0.000 5.560
V 5.998 -0.433 3.030
V 5.998 3.262 0.238
Cu 1.587 -0.006 2.775
Cu 10.409 -0.006 2.775
Cu 1.587 2.834 -0.017
Cu 10.409 2.834 -0.017
O 17.994 0.690 -0.623
O 4.362 2.606 -0.144
O 7.634 2.606 -0.144
O -1.542 1.388 1.356
O 13.538 1.388 1.356
O 1.511 1.438 1.406
O 10.485 1.438 1.406
O 4.362 0.223 2.648
O 7.634 0.223 2.648
O -5.998 2.139 2.169
O -1.511 4.219 1.406
O 1.542 4.269 1.356
O -1.542 1.440 4.148
O 1.511 1.391 4.198
```

=====

Structure and calculated XRD peak list of Sr2CuWO6 (a crystal structure in the Materials Project, relaxed with PBE+U; Cu Kα, 1.54184 Å).
Neutral-atom scattering factors, no anomalous dispersion.

Principal peaks in the range 2θ from 10° to 90°, in order of falling intensity:
30.9 deg, I 100; 32.8 deg, I 48; 57.4 deg, I 39; 19.2 deg, I 30; 47.1 deg, I 25; 53.8 deg, I 23; 41.4 deg, I 20; 64.5 deg, I 18; 87.8 deg, I 13; 38.3 deg, I 11

Structure:
```
10
Lattice="-2.728 2.728 4.363 2.728 -2.728 4.363 2.728 2.728 -4.363" Properties=species:S:1:pos:R:3 pbc="T T T"
Sr 2.728 0.000 2.181
Sr 0.000 2.728 2.181
Cu 0.000 0.000 0.000
W 0.000 0.000 4.363
O 1.673 1.088 0.000
O 0.000 0.000 2.401
O 1.640 -1.055 4.363
O 1.088 3.783 0.000
O 0.000 0.000 6.324
O 1.055 1.640 4.363
```

=====

Structure and calculated XRD peak list of Sr2Cu2WO7 (a crystal structure in the Materials Project, relaxed with PBE+U; Cu Kα, 1.54184 Å).
Neutral-atom scattering factors, no anomalous dispersion.

Principal peaks in the range 2θ from 10° to 90°, in order of falling intensity:
27.3 deg, I 100; 27.5 deg, I 68; 20.4 deg, I 66; 33.5 deg, I 51; 31.4 deg, I 47; 48.2 deg, I 39; 34.3 deg, I 37; 48.7 deg, I 37; 31.5 deg, I 33; 17.2 deg, I 33

Structure:
```
24
Lattice="3.739 -13.067 0.000 3.739 13.067 0.000 -3.676 0.000 3.773" Properties=species:S:1:pos:R:3 pbc="T T T"
Sr 3.739 10.060 0.000
Sr 3.696 3.021 0.072
Sr 3.696 -3.021 0.072
Sr 3.739 -10.060 0.000
Cu 1.901 8.116 1.924
Cu 1.860 4.950 1.916
Cu 1.860 -4.950 1.916
Cu 1.901 -8.116 1.924
W -1.169 0.000 1.777
W 1.537 0.000 2.308
O 1.907 11.343 1.916
O -0.002 4.524 1.909
O 1.859 4.577 0.042
O 1.867 1.757 1.800
O -0.002 -4.524 1.909
O 1.859 -4.577 0.042
O -0.089 0.000 3.480
O 1.867 -1.757 1.800
O 3.740 4.570 1.911
O 5.602 4.530 0.044
O 3.086 0.000 3.677
O 3.740 -4.570 1.911
O 5.602 -4.530 0.044
O 1.907 -11.343 1.916
```

=====

Structure and calculated XRD peak list of Sr2CuWO6 (a crystal structure in the Materials Project, relaxed with PBE+U; Cu Kα, 1.54184 Å).
## Done
PrAs2Au: computed PXRD pattern (CuKα), based on a DFT-relaxed cell (PBE, the Materials Project).
Neutral-atom scattering factors, no anomalous dispersion.

Atomic structure:
abc: 5.902 20.839 5.848
angles: 90.00 90.00 90.00
Space group Pbcm (No. 57)
Asymmetric unit:
Pr: 0.014 0.116 0.250 [4 per cell]
Pr: 0.484 0.620 0.750 [4 per cell]
As: 0.015 0.159 0.750 [4 per cell]
As: 0.277 0.001 0.529 [8 per cell]
As: 0.486 0.660 0.250 [4 per cell]
Au: 0.231 0.750 0.000 [4 per cell]
Au: 0.266 0.250 0.000 [4 per cell]

Principal peaks in the range 10° ≤ 2θ ≤ 90°, most intense first:
| d (Å) | I (rel.) | (hkl) |
| --- | --- | --- |
| 2.550 | 1000 | 0 4 2 |
| 2.568 | 987 | 2 4 0 |
| 2.077 | 594 | 2 0 2 |
| 2.605 | 392 | 0 8 0 |
| 1.624 | 348 | 2 8 2 |
| 1.270 | 213 | 2 4 4 |
| 1.277 | 184 | 4 4 2 |
| 2.665 | 145 | 1 6 1 |
| 3.859 | 138 | 1 2 1 |
| 3.248 | 124 | 1 4 1 |


Structure and calculated XRD peak list of Sr2YVCu2O7 (a crystal structure in the Materials Project, relaxed with PBE+U; Cu Kα, 1.54184 Å).
Neutral-atom scattering factors, no anomalous dispersion.

Principal peaks in the range 2θ from 10° to 90°, in order of falling intensity:
31.7 deg, I 100; 37.6 deg, I 74; 45.7 deg, I 45; 32.1 deg, I 41; 31.6 deg, I 37; 56.9 deg, I 19; 56.4 deg, I 18; 60.3 deg, I 16; 60.8 deg, I 15; 72.9 deg, I 12

Structure:
```
26
Lattice="-11.996 2.829 2.792 11.996 -2.829 2.792 11.996 2.829 -2.792" Properties=species:S:1:pos:R:3 pbc="T T T"
Sr 3.451 0.114 0.000
Sr 8.546 0.114 0.000
Sr 3.451 2.715 2.792
Sr 8.546 2.715 2.792
Y 0.000 2.829 2.768
Y 0.000 0.000 5.560
V 5.998 -0.433 3.030
V 5.998 3.262 0.238
Cu 1.587 -0.006 2.775
Cu 10.409 -0.006 2.775
Cu 1.587 2.834 -0.017
Cu 10.409 2.834 -0.017
O 17.994 0.690 -0.623
O 4.362 2.606 -0.144
O 7.634 2.606 -0.144
O -1.542 1.388 1.356
O 13.538 1.388 1.356
O 1.511 1.438 1.406
O 10.485 1.438 1.406
O 4.362 0.223 2.648
O 7.634 0.223 2.648
O -5.998 2.139 2.169
O -1.511 4.219 1.406
O 1.542 4.269 1.356
O -1.542 1.440 4.148
O 1.511 1.391 4.198
```

=====

Structure and calculated XRD peak list of Sr2CuWO6 (a crystal structure in the Materials Project, relaxed with PBE+U; Cu Kα, 1.54184 Å).
Neutral-atom scattering factors, no anomalous dispersion.

Principal peaks in the range 2θ from 10° to 90°, in order of falling intensity:
30.9 deg, I 100; 32.8 deg, I 48; 57.4 deg, I 39; 19.2 deg, I 30; 47.1 deg, I 25; 53.8 deg, I 23; 41.4 deg, I 20; 64.5 deg, I 18; 87.8 deg, I 13; 38.3 deg, I 11

Structure:
```
10
Lattice="-2.728 2.728 4.363 2.728 -2.728 4.363 2.728 2.728 -4.363" Properties=species:S:1:pos:R:3 pbc="T T T"
Sr 2.728 0.000 2.181
Sr 0.000 2.728 2.181
Cu 0.000 0.000 0.000
W 0.000 0.000 4.363
O 1.673 1.088 0.000
O 0.000 0.000 2.401
O 1.640 -1.055 4.363
O 1.088 3.783 0.000
O 0.000 0.000 6.324
O 1.055 1.640 4.363
```

=====

Structure and calculated XRD peak list of Sr2Cu2WO7 (a crystal structure in the Materials Project, relaxed with PBE+U; Cu Kα, 1.54184 Å).
Neutral-atom scattering factors, no anomalous dispersion.

Principal peaks in the range 2θ from 10° to 90°, in order of falling intensity:
27.3 deg, I 100; 27.5 deg, I 68; 20.4 deg, I 66; 33.5 deg, I 51; 31.4 deg, I 47; 48.2 deg, I 39; 34.3 deg, I 37; 48.7 deg, I 37; 31.5 deg, I 33; 17.2 deg, I 33

Structure:
```
24
Lattice="3.739 -13.067 0.000 3.739 13.067 0.000 -3.676 0.000 3.773" Properties=species:S:1:pos:R:3 pbc="T T T"
Sr 3.739 10.060 0.000
Sr 3.696 3.021 0.072
Sr 3.696 -3.021 0.072
Sr 3.739 -10.060 0.000
Cu 1.901 8.116 1.924
Cu 1.860 4.950 1.916
Cu 1.860 -4.950 1.916
Cu 1.901 -8.116 1.924
W -1.169 0.000 1.777
W 1.537 0.000 2.308
O 1.907 11.343 1.916
O -0.002 4.524 1.909
O 1.859 4.577 0.042
O 1.867 1.757 1.800
O -0.002 -4.524 1.909
O 1.859 -4.577 0.042
O -0.089 0.000 3.480
O 1.867 -1.757 1.800
O 3.740 4.570 1.911
O 5.602 4.530 0.044
O 3.086 0.000 3.677